Choose Preferences from the Edit menu. In Mac OS X, choose Preferences from the application (Master Key) menu.
Double-spaces between sentences
The rules for spacing between sentences may be different depending on who you are working for. Many computer programs automatically adjust the spacing between sentences for you. You have the option depending on which you think you should learn. If you include your own text files as drills, and want this option to work, you will create your text files with double-spaces between sentences.
Between two parts of the page: calculated crystals.
<<<
Dy3GeO8: relaxed, PBE-GGA.

Unit cell a=10.343 b=5.422 c=6.088 alpha=75.01 beta=90.00 gamma=90.00
Fractional coordinates of all 24 atoms:
Dy 0.750 0.783 0.688
Dy 0.250 0.217 0.312
Dy 0.956 0.687 0.199
Dy 0.456 0.313 0.801
Dy 0.044 0.313 0.801
Dy 0.544 0.687 0.199
Ge 0.750 0.193 0.016
Ge 0.250 0.807 0.984
O 0.750 0.022 0.315
O 0.250 0.978 0.685
O 0.969 0.699 0.566
O 0.469 0.301 0.434
O 0.031 0.301 0.434
O 0.531 0.699 0.566
O 0.374 0.988 0.108
O 0.874 0.012 0.892
O 0.626 0.012 0.892
O 0.126 0.988 0.108
O 0.369 0.543 0.033
O 0.869 0.457 0.967
O 0.631 0.457 0.967
O 0.131 0.543 0.033
O 0.750 0.596 0.386
O 0.250 0.404 0.614

Computed properties:
* ΔH_f (0 K): -2893 meV/atom
* space group: P2_1/m, No. 11
* energy: -7.270 eV per atom

=====

Dy2Ge2O7: relaxed, PBE-GGA.

Unit cell a=6.820 b=6.845 c=12.423 alpha=94.82 beta=91.97 gamma=91.86
Fractional coordinates of all 44 atoms:
Dy 0.049 0.333 0.112
Dy 0.112 0.091 0.357
Dy 0.314 0.834 0.117
Dy 0.375 0.211 0.632
Dy 0.625 0.789 0.368
Dy 0.686 0.166 0.883
Dy 0.888 0.909 0.643
Dy 0.951 0.667 0.888
Ge 0.139 0.622 0.377
Ge 0.167 0.143 0.885
Ge 0.389 0.724 0.600
Ge 0.515 0.338 0.167
Ge 0.485 0.662 0.833
Ge 0.611 0.276 0.400
Ge 0.833 0.857 0.115
Ge 0.861 0.378 0.623
O 0.002 0.665 0.081
O 0.990 0.977 0.816
O 0.046 0.218 0.576
O 0.065 0.403 0.302
O 0.244 0.095 0.016
O 0.224 0.910 0.627
O 0.286 0.795 0.310
O 0.299 0.559 0.486
O 0.288 0.714 0.916
O 0.368 0.208 0.812
O 0.342 0.496 0.118
O 0.393 0.137 0.221
O 0.403 0.157 0.450
O 0.396 0.544 0.697
O 0.604 0.456 0.303
O 0.597 0.843 0.550
O 0.607 0.863 0.779
O 0.658 0.504 0.882
O 0.632 0.792 0.188
O 0.712 0.286 0.084
O 0.701 0.441 0.514
O 0.714 0.205 0.690
O 0.776 0.090 0.373
O 0.756 0.905 0.984
O 0.935 0.597 0.698
O 0.954 0.782 0.424
O 0.010 0.023 0.184
O 0.998 0.335 0.919

Computed properties:
* ΔH_f (0 K): -3033 meV/atom
* relative energy among the computed polymorphs: 28 meV per atom
* space group: P-1, No. 2
* energy: -7.423 eV per atom

=====

Dy2Ge2O7: relaxed, PBE-GGA.

Unit cell a=7.088 b=7.088 c=7.088 alpha=60.00 beta=60.00 gamma=60.00
Fractional coordinates of all 22 atoms:
Dy 0.625 0.625 0.625
Dy 0.125 0.625 0.625
Dy 0.625 0.125 0.625
Dy 0.625 0.625 0.125
Ge 0.125 0.625 0.125
Ge 0.125 0.125 0.625
Ge 0.625 0.125 0.125
Ge 0.125 0.125 0.125
O 0.750 0.750 0.750
O 0.203 0.797 0.797
O 0.203 0.797 0.203
O 0.797 0.797 0.203
O 0.797 0.203 0.797
O 0.203 0.203 0.797
O 0.453 0.047 0.047
O 0.797 0.203 0.203
O 0.047 0.453 0.047
O 0.047 0.047 0.453
O 0.453 0.453 0.047
O 0.453 0.047 0.453
O 0.047 0.453 0.453
O 0.500 0.500 0.500

Computed properties:
* ΔH_f (0 K): -3049 meV/atom
* relative energy among the computed polymorphs: 12 meV per atom
* space group: Fd-3m, No. 227
* energy: -7.439 eV per atom

=====

Dy2Ge6Pd: relaxed, PBE-GGA.
>>>
Allow Correcting with Delete key
This option allows the delete key to be used to correct mistakes.
With it on, Accuracy is the final result of what you typed and 98% accuracy is required for mastery while an error rate, which is what was typed incorrectly regardless of corrections, must be 5% or less for mastery.
With it off, Accuracy and Error Rate become the same so that 98% must be typed correctly in order to achieve mastery.
Hide Other Applications
With the Hide Other Applications option checked, Master Key will draw a solid color for the entire background outside of the Master Key windows. The color can be selected using the Color... button
Mac OS Account Mode
With this option on, Master Key pupils are always associated with the one user of the current Mac OS Account. For more information, see Multiple-users/Networks
Choose Pupil at Startup and Logoff
With this option selected, when Master Key is launched or when a pupil logs-off, the user is immediately asked to select his/her class and name except if the Remember Last Logged-in Pupil option is on and there was a pupil to remember.
Remember Last Logged-in Pupil
This feature is most useful in multiple user environments such as OS 9 Multiple Users, Macintosh Manager and Mac OS X. With this option checked Master Key records the last logged-in Pupil in the current user's preference folder. When the user opens Master Key from then on, his pupil file is loaded. Master Key will not ask for a password, even if Pupil Passwords is turned on since the user has accessed this pupil file before. If the user logs-out the pupil, the user will be asked for a password for any other pupil file if Pupil Passwords is turned on.
Hide "Master Key Network" folder
Only available when Master Key is used in Network mode, when this option is checked the Master Key Network folder is made invisible. This is used to hamper casual deletion of Master Key files on the server by users.
Font Size
12 and 24 point type. 24 might be more useful for younger typists or larger screens. This is the only option that can't be changed during a drill.
Key Layout
You are given several choices all of which are from layouts that ship with the Mac OS. The layout in the keyboard animation of the Test Window is drawn for all these key layouts. If you have these keylayouts installed, Master Key will change the layouts in the Keyboard control panel too. The lessons are written primarily for U.S., French, German, and Dvorak which is purported by many to be a more efficient layout of keys for the English language. The nicest Dvorak layout is the one that retains the command keys to the QWERTY positions.
Show keyboard Animation and Show Hand Outlines
The key animation shows which key is next to be typed in white and which was last typed darkened. Hand outlines give a general idea for hand position on the keyboard. Animation may be too demanding on slower Power Macs and earlier Macs to type much faster than 20 words per minute and should be turned off for faster speeds. On G3 Macs, the animation will be fast enough for the fastest typist.
Show Finger Position Chart
With this option on turns the color-coded key position chart on and off.
For Key Sounds, you may choose Standard for a pleasant audible feedback or you may choose from one of the typewriters. The typewriters sounds are sampled from actual typewriters and include many more sounds such as the shift key and paper insertion. The typerwriter sounds are mostly for fun.
The Typo Sound is the sound made when you make an error.
You may turn the passwords requirement for the Teacher and Pupils on and off individually in the Preferences. This is also the only place to set and changed the Teacher password. For more on passwords see 4. Passwords
All Pupil Privileges can be set from within the Preferences dialog. This includes granting the Pupil the ability to:
These are options for the ParaTyper game in the ParaTyper menu. Choose options for sound an music volumes.
Although more difficult gameplay, choosing Reset Word on Mistype will give you higher scores in ParaTyper.
User Options
User Options is a feature particularly useful in multiple-user environments such as OS X clients or Macintosh Mananger. With this option on, pupils are granted access to a subset of preferences that they would not be able to access if the Teacher password is enabled. As the name implies, these user options are not global nor are they assigned to the pupil but rather they are preferences stored in the default preferences folder. In a multiple-user's environment, this would be the user's own preferences folder.
Users are granted the ability to decide double or single spacing, hiding other applications and all display and sound preferences.
The default user options are determined by the corresponding preferences set in the preferences window so that new users inherit these preferences.
Although not a perfect metronome, it may help to use this to establish a rhythm. The numbers represent the approximate words per minute beat. You may find that putting this about 10 WPM above your speed goal may be well enough to make up for missed beats and errors you make make while still allowing you to accomplish your speed goal.
The metronome works best if virtual memory off and no other applications are open on a G3-based Mac or better.